Pensioner tackled thief in bid to retrieve handbag

Plucky 75-year-old tells court of attempt to recover phone containing family photographs

The pensioner’s handbag was snatched in Tesco, Wilton Shopping Centre, Cork. File photograph: Google Street View

A plucky 75-year-old pensioner who tackled a thief when he stole her handbag explained that she was trying to get back her phone containing family photographs.

Sheila O'Mahony (75) was in a busy shopping centre and began hitting Philip Murphy over the head with a newspaper when he snatched her bag in Tesco, Wilton Shopping Centre, Cork, on September 15th, 2018. Ms O'Mahony feared her family photographs, stored on her phone, would be lost.

Records of molecules, as found in the file:
-- begin --
{
  "formula": "C18H32ClN4O6S2",
  "method": "the ωB97M-V functional and the def2-TZVPD basis",
  "symbols": ["C", "C", "C", "C", "C", "N", "C", "S", "C", "C", "O", "O", "C", "C", "C", "O", "C", "O", "C", "S", "N", "N", "C", "C", "Cl", "C", "C", "H", "H", "H", "H", "H", "H", "H", "H", "H", "H", "H", "H", "H", "H", "H", "H", "H", "H", "H", "H", "H", "H", "H", "H", "H", "H", "H", "H", "H", "C", "N", "O", "O", "H", "H", "H"],
  "xyz": [[0.211, 1.723, 2.596], [1.218, 2.085, 1.428], [0.684, 1.641, -0.015], [1.635, 0.483, -0.506], [1.309, -0.803, 0.337], [1.636, 0.267, -1.974], [0.753, -0.444, -2.813], [-0.758, -1.319, -2.357], [-0.351, -2.917, -1.525], [-1.349, -3.057, -0.312], [-0.914, -3.206, 0.794], [-2.724, -2.973, -0.471], [-3.234, -1.693, -0.052], [-4.818, -1.647, -0.161], [-5.427, -1.901, 1.272], [-5.138, -0.287, -0.534], [-6.391, -0.191, -1.132], [-6.645, -0.609, -2.218], [-7.513, 0.564, -0.316], [-7.660, 2.324, -0.848], [1.114, -0.422, -4.109], [2.232, 0.339, -4.067], [2.582, 0.776, -2.837], [3.809, 1.683, -2.569], [4.433, 2.316, -4.154], [4.925, 1.043, -1.672], [5.701, 2.252, -0.973], [0.826, 1.464, 3.495], [-0.354, 0.799, 2.301], [-0.491, 2.565, 2.820], [2.172, 1.554, 1.671], [1.435, 3.184, 1.377], [-0.349, 1.222, 0.132], [0.690, 2.483, -0.748], [2.682, 0.780, -0.231], [1.527, -0.638, 1.423], [1.863, -1.702, -0.021], [0.196, -0.934, 0.288], [-0.525, -3.771, -2.237], [0.702, -3.013, -1.187], [-2.974, -1.421, 1.000], [-2.875, -0.841, -0.693], [-5.140, -2.406, -0.918], [-6.502, -1.596, 1.254], [-4.869, -1.247, 1.990], [-5.362, -2.976, 1.585], [-7.141, 0.570, 0.744], [-8.452, -0.019, -0.434], [-8.738, 2.822, -0.147], [2.684, 0.527, -4.962], [3.419, 2.579, -2.012], [5.709, 0.496, -2.256], [4.508, 0.347, -0.907], [5.565, 3.134, -1.658], [5.229, 2.556, -0.006], [6.787, 2.031, -0.859], [4.247, -0.882, 4.640], [3.840, -0.364, 3.307], [4.645, -0.446, 2.399], [2.721, 0.112, 3.215], [5.258, -1.271, 4.569], [4.200, -0.053, 5.342], [3.548, -1.670, 4.912]],
  "nbo_charge": [-0.62, -0.42, -0.42, -0.04, -0.63, -0.33, 0.21, 0.29, -0.63, 0.80, -0.52, -0.54, -0.09, 0.08, -0.64, -0.56, 0.81, -0.52, -0.63, -0.04, -0.19, -0.31, 0.44, -0.24, 0.00, -0.43, -0.61, 0.23, 0.20, 0.22, 0.22, 0.22, 0.22, 0.22, 0.23, 0.27, 0.22, 0.22, 0.27, 0.26, 0.19, 0.20, 0.22, 0.22, 0.21, 0.23, 0.23, 0.25, 0.15, 0.46, 0.26, 0.25, 0.23, 0.21, 0.22, 0.24, -0.49, 0.55, -0.37, -0.40, 0.24, 0.25, 0.24],
  "total_energy_ev": -71612.183,
  "orbital_gap_ev": 7.92,
  "lumo_ev": -2.9,
  "total_charge": 1
}

{
  "formula": "C18H32N4O5S",
  "method": "the ωB97M-V functional and the def2-TZVPD basis",
  "symbols": ["C", "C", "O", "C", "O", "N", "C", "C", "C", "N", "C", "O", "C", "C", "C", "N", "S", "O", "O", "N", "C", "C", "C", "C", "C", "C", "C", "C", "H", "H", "H", "H", "H", "H", "H", "H", "H", "H", "H", "H", "H", "H", "H", "H", "H", "H", "H", "H", "H", "H", "H", "H", "H", "H", "H", "H", "H", "H", "H", "H"],
-- stop --
The records of molecules stop here:

“I just saw my bag going and I automatically ran after him and when I caught him, he kept trying to push me away. But I held on to him and I kept saying, ‘you have my bag’ and he was saying, ‘no, I haven’t’,” said Ms O’Mahony.

“A security man came up behind him and caught him. And this bag with a newspaper fell out from under a coat so I picked it up and kept hitting him on the head while the security man held him and then my handbag fell out.


“I didn’t think anything of it until I got home that evening and I started shaking. But all I wanted was to get my bag back because my phone was in the back with all the photographs of the children,” she added.

Ms O'Mahony was speaking outside Cork Circuit Criminal Court where a jury took just 44 minutes to find Murphy from Orchard Court, Blackpool, in Cork guilty of theft.

The jury had heard evidence how Ms O’Mahony was shopping in Tesco in Wilton on the day in question when Murphy snatched her handbag. But she spotted him and gave chase before confronting him about the theft.

Security man Peter Bezdzinkski came to her assistance and detained Murphy until Garda Michael Harney arrived and arrested Murphy who made no admissions and denied both the theft and assaulting Ms O'Mahony.

After the jury returned a guilty verdict on the theft charge and a not guilty verdict on the assault charge, Det Garda James Bugler told the court that Murphy had a total of 107 previous convictions for a variety of offences.

These include one for robbery, 22 for burglary and 28 for theft, including convictions as recently as April 30th, 2019, when he was convicted of stealing a handbag from a woman wheeling her child in a buggy in the English Market in Cork.

Det Garda Bugler said that Murphy was “a career criminal” who had shown no remorse for the ordeal to which he had subjected Ms O’Mahony whom he described as “ very robust and resilient”.

Defence barrister Peter O’Flynn said his client was a 48-year-old man who lived alone with his mother, who had been abused while in care as a child and had resorted to taking drugs – that catalyst for his offending.

“His story is quite hopeless,” said Mr O’Flynn as he pleaded for leniency and suggested to Judge James McCourt that he might consider structuring a sentence so that there would some incentive for his client to rehabilitate himself.

‘No regard for victim’

The judge said he could not ignore Murphy’s previous convictions and that he committed the theft while on bail for another matter was also an aggravating factor.

“It is quite clear to me that Mr Murphy had no regard for his victim . . . he has shown no remorse, not then, not now, not ever,” said the judge.

The judge added that he was not attaching much importance to Ms O’Mahony having €400 in her bag as he believed it was just as heinous a crime if she had €4 or €4,000 stolen.

He acknowledged it was “a sad case” given Murphy’s background and he was keen to provide a glimmer of hope for him. But he needed to grasp that chance as otherwise he would continue returning to court to face ever longer sentences.

He sentenced Murphy to two years in jail but suspended the last six months on condition he is of good behaviour and engages with the Probation Service when released from the term which is consecutive to nine months he is currently serving.

Barry Roche

Barry Roche

Barry Roche is Southern Correspondent of The Irish Times